Your job: say how many lines of the block further down hold the word "formation", as a bare number.
=====
Material: Li6CrFe3P6O24
Method: DFT, PBE+U
State: relaxed

a = 8.572 Å, b = 8.621 Å, c = 8.622 Å
α = 61.37°, β = 61.39°, γ = 61.40°
Fractional coordinates of all 40 atoms:
Li1 0.025 0.007 0.997
Li2 0.750 0.153 0.347
Li3 0.476 0.503 0.494
Li4 0.250 0.843 0.653
Li5 0.655 0.252 0.841
Li6 0.841 0.655 0.249
Cr1 0.856 0.854 0.854
Fe1 0.146 0.145 0.137
Fe2 0.353 0.363 0.355
Fe3 0.647 0.648 0.649
P1 0.048 0.751 0.453
P2 0.454 0.049 0.748
P3 0.750 0.456 0.046
P4 0.249 0.542 0.958
P5 0.544 0.962 0.250
P6 0.955 0.248 0.538
O1 0.127 0.291 0.496
O2 0.301 0.510 0.119
O3 0.045 0.923 0.271
O4 0.530 0.120 0.296
O5 0.239 0.593 0.430
O6 0.019 0.803 0.615
O7 0.264 0.068 0.908
O8 0.452 0.232 0.577
O9 0.593 0.431 0.240
O10 0.197 0.381 0.991
O11 0.088 0.735 0.935
O12 0.372 0.004 0.207
O13 0.616 0.016 0.805
O14 0.908 0.262 0.067
O15 0.805 0.616 0.016
O16 0.410 0.567 0.764
O17 0.566 0.768 0.411
O18 0.734 0.934 0.086
O19 0.970 0.201 0.379
O20 0.765 0.412 0.568
O21 0.486 0.886 0.693
O22 0.937 0.087 0.730
O23 0.691 0.488 0.887
O24 0.887 0.690 0.490

Results
Crystal system   triclinic
ΔH_f (0 K)   -100.130 eV per formula unit

=====

[1]
## MgH12SO9 (PBE)

Data for MgH12SO9 after structural relaxation.

Calculated values
- E_tot (eV/atom) = -4.896
- maximum piezoelectric response (C/m2) = 6.2
- formation energy from the elements (meV/atom) = -1209
- relative energy among the computed polymorphs (kcal/mol of atoms) = 6.76

a = 4.896 Å, b = 6.299 Å, c = 6.821 Å
α = 116.19°, β = 92.09°, γ = 90.87°
Space group P1 (No. 1)
Unique sites:
Mg: 0.000 0.000 0.000
H: 0.125 0.418 0.898
H: 0.157 0.162 0.402
H: 0.195 0.942 0.507
H: 0.213 0.068 0.593
H: 0.330 0.669 0.850
H: 0.412 0.245 0.324
H: 0.428 0.342 0.919
H: 0.459 0.921 0.858
H: 0.567 0.566 0.603
H: 0.730 0.371 0.629
H: 0.764 0.042 0.646
H: 0.939 0.527 0.386
S: 0.713 0.691 0.217
O: 0.217 0.192 0.281
O: 0.294 0.802 0.809
O: 0.309 0.416 0.846
O: 0.644 0.142 0.958
O: 0.674 0.930 0.403
O: 0.687 0.435 0.524
O: 0.827 0.732 0.030
O: 0.842 0.152 0.801
O: 0.997 0.597 0.287

***

[2]
## MgH12SO9 (PBE)

Data for MgH12SO9 after structural relaxation.

Calculated values
- E_tot (eV/atom) = -5.189
- maximum piezoelectric response (C/m2) = 0.3
- formation energy from the elements (meV/atom) = -1502
- relative energy among the computed polymorphs (kcal/mol of atoms) = 0.00

a = 8.8423 Å, b = 8.8423 Å, c = 9.1639 Å
α = 90.00°, β = 90.00°, γ = 120.00°
Space group R3 (No. 146, hexagonal axes)
Unique sites:
Mg: 0.0000 0.0000 0.0000
H: 0.0142 0.4156 0.7920
H: 0.0228 0.1806 0.2521
H: 0.0345 0.5530 0.5073
H: 0.1246 0.7620 0.5044
S: 0.0000 0.0000 0.5044
O: 0.0038 0.8029 0.8802
O: 0.0494 0.1789 0.4331
O: 0.1427 0.4748 0.8127

***

[3]
## MgH12SO9 (PBE)

Data for MgH12SO9 after structural relaxation.

Calculated values
- E_tot (eV/atom) = -4.900
- formation energy from the elements (meV/atom) = -1213
- relative energy among the computed polymorphs (kcal/mol of atoms) = 6.66

a = 5.379 Å, b = 8.518 Å, c = 8.880 Å
α = 62.91°, β = 77.69°, γ = 88.20°
Space group P1 (No. 1)
Unique sites:
Mg: 0.000 0.000 0.000
H: 0.017 0.103 0.218
H: 0.079 0.902 0.317
H: 0.100 0.273 0.299
H: 0.192 0.296 0.531
H: 0.220 0.369 0.097
H: 0.271 0.626 0.156
H: 0.301 0.534 0.519
H: 0.367 0.516 0.445
H: 0.396 0.949 0.506
H: 0.598 0.893 0.391
H: 0.849 0.321 0.851
H: 0.919 0.169 0.718
S: 0.552 0.816 0.936
O: 0.075 0.291 0.184
O: 0.157 0.201 0.502
O: 0.349 0.937 0.953
O: 0.395 0.617 0.062
O: 0.421 0.865 0.459
O: 0.738 0.820 0.040
O: 0.937 0.098 0.645
O: 0.962 0.236 0.834
O: 0.968 0.976 0.242

=====

[1]
Computed, not measured: crystalline CsCl at its relaxed geometry at the r2SCAN level of DFT.

Unit cell a=4.1437 b=4.1437 c=4.1437 alpha=90.00 beta=90.00 gamma=90.00
Fractional coordinates of all 2 atoms:
Cl1 0.5000 0.5000 0.5000
Cs1 0.0000 0.0000 0.0000

---

[2]
Computed, not measured: crystalline Cs2CuCl4 at its relaxed geometry at the r2SCAN level of DFT.

Unit cell a=7.6237 b=9.8399 c=12.3360 alpha=90.00 beta=90.00 gamma=90.00
Fractional coordinates of all 28 atoms:
=====
3